Investing for the next generation

Investing for the next generation

Posted On August 21, 2014

Financial advisors are struggling to find the best way to connect with young investors. According to Forbes, younger generations are taking matters into their own hands – creating businesses that adapt to the Millennial way of thinking. These savvy entrepreneurs are taking the principles of DIY investing and marrying them to financial advisory to recreate the investment experience so that it mirrors the values of the younger generations. Wealthfront, an investment company highlighted in the piece, offers a “refer-a-friend” bonus that comes in the form of an increased cap on the assets managed at no cost. While older generations would… Read More

Categories: Financial Services, Generation Y / Millennials

A few words on business clutter

Posted On August 19, 2014

An article in The Economist this month got me thinking about how different generations value time. The piece talks about three types of business clutter – organizational clutter, meeting clutter and email clutter. None of these is a shocking revelation to anyone who works in a large organization. The demands on time are significant, and often not related specifically to the task at hand. In fact, a colleague recently shared that when her boss asked for yet another report, she had to tell him “I can do the report, or I can do the work that the report is about,… Read More

Categories: Workplace

Texting while driving…golf carts

Posted On August 14, 2014

Golf courses have a problem. Young professionals simply aren’t hitting the links with the same regularity as their Xer and Boomer predecessors. The New York Times reports that in 2013, only 22 percent of travelers under 33 played golf when they stayed at a resort, compared with 42 percent of baby boomers. And resorts are working hard to determine the best way to attract them. From the article: Resorts are … making changes that would have been unthinkable even a decade ago, adding speakers to golf carts and Wi-Fi access on the course, building high-tech training centers and miniature golf… Read More

Categories: Entrepreneurship, Generation Y / Millennials, Product Design

Frustrated by a lack of initiative from young employees? Blame the rubric.

**Someone pasted calculated molecules at this point**
+++
Here is 6 unconnected molecules or ions with the total composition C34H82Br3N8O7 at a distorted geometry from OMol25. Energies are from ωB97M-V/def2-TZVPD.

Calculated values
Largest force on an atom ... 3.06 eV/A
Orbital gap ... 0.2938 hartree
Total charge ... +1
HOMO level ... -10.83 eV

CARTESIAN COORDINATES (ANGSTROEM)
C 4.85516 -0.55359 0.17961
C 3.34338 -0.34527 0.31635
C 2.58601 -1.70113 0.38699
C 1.67330 -1.85846 -0.82915
C 2.56040 -2.20710 -2.05515
N 0.60836 -2.88120 -0.63835
C 0.73183 -3.88931 0.39395
C 1.82071 -4.93301 0.12960
O 2.84404 -4.72709 -0.38147
O 1.51977 -6.17792 0.53392
C -0.41337 -2.83265 -1.42210
N -0.58964 -1.86408 -2.37488
C -1.22892 -0.61841 -1.89471
C -2.59145 -0.82232 -1.24001
C -3.74289 -0.74264 -2.23801
Br -5.36610 -1.45774 -1.41447
N -1.40767 -3.76778 -1.31346
C -2.16547 -4.01827 -2.53159
Br -0.99754 -4.71169 -3.95194
C -3.24914 -5.14788 -2.18165
C -3.60230 -5.20560 -0.70340
Br -2.63780 -6.91724 -2.77957
H 5.21130 -0.98808 1.10932
H 5.09497 -1.26442 -0.61009
H 5.37168 0.37299 -0.04989
H 3.21501 0.14946 1.27312
H 2.94937 0.30628 -0.46261
H 3.33788 -2.47458 0.47683
H 1.95518 -1.63359 1.27300
H 1.26388 -0.87974 -1.03557
H 2.24842 -1.61952 -2.92064
H 3.60026 -1.97631 -1.88290
H 2.40815 -3.23985 -2.34122
H 0.93725 -3.45586 1.36428
H -0.19058 -4.43283 0.55466
H 0.56718 -6.26753 0.67924
H 0.23221 -1.71013 -2.94446
H -0.62901 -0.01555 -1.22312
H -1.39842 -0.00036 -2.76927
H -2.73305 0.01974 -0.56809
H -2.66804 -1.71130 -0.61765
H -3.52722 -1.21790 -3.18856
H -3.95735 0.29971 -2.42766
H -0.99605 -4.67277 -1.10089
H -2.73930 -3.17943 -2.87674
H -4.11512 -4.94407 -2.79249
H -4.45566 -5.86663 -0.60740
H -3.80584 -4.22981 -0.27742
H -2.79855 -5.72436 -0.18777
C 8.13481 5.22123 -1.56951
C 6.77179 4.57513 -1.79608
C 5.89526 4.51423 -0.53529
O 6.26235 3.51325 0.39743
C 7.34427 3.85522 1.24852
N 6.96879 3.24686 -2.38794
H 8.83392 4.54943 -1.07242
H 8.58333 5.49672 -2.52375
H 8.04620 6.12870 -0.96872
H 6.23800 5.19290 -2.52459
H 4.87847 4.25666 -0.84814
H 5.83387 5.49272 -0.04215
H 7.34068 4.91817 1.50297
H 8.29887 3.58116 0.79556
H 7.23770 3.27748 2.16670
H 6.06279 2.85933 -2.63964
H 7.30241 2.62970 -1.65100
C 3.30556 2.82253 -6.71668
C 2.77988 1.39127 -6.77268
C 1.82666 1.03701 -5.62042
O 2.46144 0.80406 -4.37076
C 2.80048 1.97539 -3.64746
N 3.91889 0.47144 -6.84586
H 4.09740 2.94451 -5.97764
H 3.72592 3.10562 -7.68091
H 2.50575 3.52872 -6.48179
H 2.20735 1.29213 -7.69935
H 1.33281 0.09384 -5.87279
H 1.03354 1.78867 -5.51105
H 2.06417 2.77101 -3.79148
H 3.79452 2.33088 -3.92504
H 2.82876 1.71475 -2.58726
H 3.57542 -0.47416 -6.99420
H 4.34692 0.43429 -5.92373
C -3.04020 3.43285 -1.30652
C -1.72729 3.23207 -0.55560
C -1.01142 4.54049 -0.18924
O -0.34969 5.16941 -1.26842
C -1.18015 5.94507 -2.11868
N -0.85819 2.34483 -1.34329
H -2.88360 3.68486 -2.35509
H -3.63300 2.51603 -1.28421
H -3.63768 4.22354 -0.85096
H -1.96775 2.72469 0.38433
H -0.22437 4.30095 0.53162
H -1.69105 5.24224 0.30950
H -1.98293 6.43672 -1.56338
+++

Posted On August 12, 2014

One of the recurring themes in my discussions about working with Millennials is that you can’t hold them accountable for what they don’t know they should do. And one of the frequent counterarguments is that they need to think for themselves, show a little initiative. A college professor recently shared this article with me, which may shed some light on how your young employees came to be so dependent on being given very clear expectations: the rubric. If you have school-age children, chances are you’ve seen a rubric – it’s basically a checklist of assignment requirements, including how many points… Read More

== Attached: molecular data ==
<<<
Arrangement A

Below is 2 unconnected molecules or ions with the total composition C4H12O2, with properties calculated with wB97M-V/def2-TZVPD.

The charge is 0. As for the highest occupied orbital energy: -9.76 eV. As for the structure (SMILES): CCOCC.O. Its orbital gap is 10.458 eV. The molar mass is 92.14 u.

Last columns: bonded neighbours and bond lengths (Å).
Geometry (Å):
1 C -1.9274 2.4913 -1.7215  C2 1.522, H6 1.103, H7 1.103, H8 1.103
2 C -1.4421 1.0567 -1.5748  C1 1.522, O3 1.446, H9 1.107, H10 1.107
3 O -0.4907 1.0912 -0.4863  C2 1.446, C4 1.389
4 C 0.1520 -0.1102 -0.2170  O3 1.389, C5 1.509, H11 1.107, H12 1.107
5 C 0.8842 0.0707 1.0897  C4 1.509, H13 1.103, H14 1.103, H15 1.103
6 H -1.2796 3.1946 -1.1717  C1 1.103
7 H -2.9584 2.5930 -1.3428  C1 1.103
8 H -1.9165 2.7648 -2.7900  C1 1.103
9 H -2.2988 0.3815 -1.3864  C2 1.107
10 H -0.9848 0.7594 -2.5381  C2 1.107
11 H -0.5838 -0.9361 -0.1732  C4 1.107
12 H 0.8092 -0.2908 -1.0893  C4 1.107
13 H 0.1743 0.4143 1.8607  C5 1.103
14 H 1.6718 0.8338 0.9715  C5 1.103
15 H 1.3517 -0.8669 1.4346  C5 1.103
16 O 2.7879 -4.8407 2.9585  H17 0.984, H18 0.984
17 H 3.7396 -4.6120 3.0586  O16 0.984
18 H 2.3113 -3.9946 3.1176  O16 0.984

Here are the Mulliken charges for atoms 1 to 5, given in e: -0.95, -0.30, -0.28, -0.22, -1.05

=====

Arrangement B

Below is 2 unconnected molecules or ions with the total composition C4H12O2, with properties calculated with wB97M-V/def2-TZVPD.

The charge is 0. As for the highest occupied orbital energy: -10.30 eV. As for the structure (SMILES): CCO.CCO. Its orbital gap is 11.060 eV. The molar mass is 92.14 u.

Last columns: bonded neighbours and bond lengths (Å).
Geometry (Å):
1 C 8.2316 12.0439 1.5299  C2 1.545, H4 1.090, H5 1.090, H6 1.090
2 C 7.0938 12.9696 1.0447  C1 1.545, O3 1.411, H7 1.090, H8 1.090
3 O 6.8339 13.0170 -0.3418  C2 1.411, H9 0.960
4 H 8.4144 12.0340 2.6044  C1 1.090
5 H 9.1495 12.5264 1.1942  C1 1.090
6 H 8.2061 11.0428 1.0996  C1 1.090
7 H 7.2395 13.9857 1.4112  C2 1.090
8 H 6.1150 12.6998 1.4412  C2 1.090
9 H 6.1074 12.3910 -0.3860  O3 0.960
10 C 2.0536 8.4667 1.3741  C11 1.563, H13 1.090, H14 1.090, H15 1.090
11 C 1.8243 8.2452 -0.1561  C10 1.563, O12 1.458, H16 1.090, H17 1.090
12 O 2.5393 9.3187 -0.8367  C11 1.458, H18 0.960
13 H 3.0620 8.2279 1.7120  C10 1.090
14 H 1.3540 7.7502 1.8043  C10 1.090
15 H 1.7545 9.4186 1.8128  C10 1.090
16 H 0.8183 8.4493 -0.5226  C11 1.090
17 H 2.0212 7.2209 -0.4725  C11 1.090
18 H 2.3051 9.1276 -1.7478  O12 0.960

Here are the Mulliken charges for atoms 1 to 5, given in e: -0.90, -0.33, -0.50, 0.32, 0.25

=====

Arrangement C

Below is 2 unconnected molecules or ions with the total composition C4H12O2, with properties calculated with wB97M-V/def2-TZVPD.

The charge is 0. As for the highest occupied orbital energy: -10.01 eV. As for the structure (SMILES): CCOCC.O. Its orbital gap is 10.945 eV. The molar mass is 92.14 u.

Last columns: bonded neighbours and bond lengths (Å).
Geometry (Å):
>>>

Categories: iGen, Parenting

Millennials waxing nostalgic

Posted On August 7, 2014

A friend told me about the new Miranda Lambert tune and it made me chuckle. At the ripe old age of 30 years, Lambert is a Millennial. Yet here she is singing about the good old days of hard work and paying your dues. And I did my homework with good ol’ Google – Lambert isn’t just singing a lyric written by a Nashville old-timer; she wrote it. The chorus is especially amusing for someone who was only 15 when the Internet went mainstream: Hey, whatever happened to waitin’ your turn Doing it all by hand, ‘Cause when everything is… Read More

Categories: Generation Y / Millennials, Workplace

Gen X – stuck in the middle again

(Here the piece breaks off for quantum chemistry results)
/*
The following is a DFT calculation (wB97M-V/def2-TZVPD) of a 2-piece molecular cluster, C4H11NS2 overall.

Kohn-Sham gap (spin up / spin down): 0.1931 / 0.1512 Eh
Charge: +1
LUMO level (spin up / spin down): -8.2 / -8.9 eV
Expectation value of S²: 1.077
Multiplicity: 2
E_HOMO (spin up / spin down): -0.494 / -0.480 hartree

Cartesian coordinates (Å):
N1 -0.4638 -0.1829 -2.4181
C1 -0.8478 -0.8046 -1.1327
C2 -2.0492 -0.0170 -0.4929
C3 0.4066 -0.8622 -0.1302
S1 1.8365 -1.3723 -1.0453
S2 -0.0428 1.4595 2.3274
C4 1.7450 1.1005 2.3553
H1 0.4702 -0.5127 -2.6364
H2 -0.5579 0.8678 -2.4761
H3 -1.1659 -1.7721 -1.4261
H4 -1.5905 0.3891 0.5095
H5 -2.9263 -0.6818 -0.4156
H6 -2.2314 0.7419 -1.2535
H7 0.2614 -1.6235 0.6652
H8 0.6452 0.1349 0.3615
H9 1.9554 0.4562 3.1931
H10 2.2202 0.6450 1.4377
H11 2.3351 2.0340 2.5772

***

The following is a DFT calculation (wB97M-V/def2-TZVPD) of a 2-piece molecular cluster, C4H7NOSi overall.

Kohn-Sham gap: 0.3461 Eh
LUMO level: 0.3 eV
E_HOMO: -0.336 hartree

Cartesian coordinates (Å):
C1 2.8585 -0.9406 -0.0085
C2 3.2163 0.3684 0.2424
C3 1.0912 0.2456 -0.0162
C4 -1.8131 -0.8265 0.1949
N1 1.4964 -0.9685 -0.1038
O1 2.0827 1.1221 0.2270
Si1 -0.7103 0.6910 0.3432
H1 3.2972 -1.8221 0.1466
H2 4.2286 0.7221 0.4452
H3 -1.5879 -1.8121 -0.3275
H4 -1.7185 -1.1715 1.2721
H5 -2.7326 -0.3186 -0.0978
H6 -1.5117 1.9042 -1.3292
H7 -0.6092 1.2857 1.6476

***

The following is a DFT calculation (wB97M-V/def2-TZVPD) of CH2OS3 as an isolated structure.

Kohn-Sham gap (spin up / spin down): 0.2428 / 0.2428 Eh
LUMO level (spin up / spin down): -2.6 / -2.6 eV
E_HOMO (spin up / spin down): -0.338 / -0.338 hartree

Cartesian coordinates (Å):
C1 0.3961 0.3866 0.4854
O1 1.5502 -2.2971 -0.0137
S1 3.6307 -0.4829 -0.4506
S2 0.2937 -0.3082 1.9443
S3 1.8420 -0.9904 -0.5812
H1 -0.2284 -0.0117 -0.2928
H2 0.7729 1.4894 0.4439

***

Taking the records one at a time from the top gives energy above the lowest of the compared OMol25 structures with the same formula, charge and spin values of 4.685 4.386 1.454 eV.
Taking the records one at a time from the top gives maximum force values of 0.0636 0.0938 0.0677 Eh/bohr.
*/

Posted On August 5, 2014

The numbers show it. And so do the conversations. Generation X is stuck in the middle. In “10 things Generation X won’t tell you” MarketWatch author Quentin Fottrell delivers a fairly thorough assessment of why Gen X is “poor, ignored and jaded.” Gen X numbers roughly half to two-thirds of its generational peers. Depending on whose statistics you use, there are about 49 million Xers compared to 75 million Boomers and 89 million Millennials. No wonder people aren’t paying as much attention anymore. But it’s more than that – Xers have been around a while. They were the thorn in… Read More

Categories: Generation X, Succession Planning, Work, Workplace